How Your Brain Stores Memories
Understanding the Workings of Memory
Memory seems like a simple thing: You think about where you put something you are looking for and the information (hopefully) is there for you. Most of the time, this recall of information is almost instantaneous; however, sometimes you have to "wrack your brain" to come up with the information you usually recall easily. Why does memory sometimes work so reliably and other times seems so faulty? It has to do with how and why our memory works.
How Our Brain Stores Memory

Information enters our brain through our five senses: sight, hearing, touch, taste, and scent. Memory stores our recollections of each of these senses, not the sensations themselves. Recalling memories retraces the same neural pathways in the brain that we originally used to experience an event, creating a sort of "recall" of the event.

There are two different kinds of memory the brain stores – short-term memory and long-term memory. When we experience an event, it actually lasts only a fraction of a second, then moves into short-term memory for a period of time in the cortex of the brain. Eventually, the most essential memories move from short-term memory to long-term memory. In fact, short-term memories last less than a minute. The greater part of anything that you do during a day is lost from your short-term memory within a minute of having done it.

Some of the information – what your brain deems the essentials – will be retained and stored in your long term-memory. Many of these memories will last a lifetime; others will eventually be forgotten, but are retrievable in some cases.

Creating A Long-Term Memory

Long-term memories are created through a three-step process, so that each memory can be properly broken down into parts and assigned meaning, stored properly, and then retrieved when needed. The shorthand for this process is:

<<<
# 1
First-principles (PBE) data for crystalline NpSiIr at its relaxed geometry, as listed in Alexandria via LeMat-Bulk.

a b c (Å): 3.4202 4.2984 4.2984
angles (deg): 120.00 90.00 90.00
Closest atoms and distances in Å follow each position.
Sites, in units of the cell vectors:
1 Np 0.6666 0.6667 0.3333  6 Si 3.01, 6 Ir 3.01
2 Si 0.1667 0.0000 0.0000  3 Ir 2.48
3 Ir 0.1667 0.3333 0.6667  3 Si 2.48

## Properties
Formation energy (no corrections) (eV/atom): -0.50
N(E_F) (states/eV/cell): 6.44

# 2
First-principles (PBE) data for crystalline Np2SiIr6 at its relaxed geometry, as listed in Alexandria via LeMat-Bulk.

a b c (Å): 5.5068 5.4641 6.1121
angles (deg): 77.93 90.00 120.26
Closest atoms and distances in Å follow each position.
Sites, in units of the cell vectors:
1 Np 0.6441 0.2882 0.1477  9 Ir 2.89-3.16
2 Np 0.3559 0.7118 0.8523  9 Ir 2.89-3.16
3 Si 0.0000 0.0000 0.0000  6 Ir 2.43-2.46
4 Ir 0.8779 0.2699 0.6896  1 Si 2.46, 3 Ir 2.68-2.74
5 Ir 0.8832 0.7664 0.6860  1 Si 2.43, 2 Ir 2.69
6 Ir 0.3920 0.2699 0.6896  1 Si 2.46, 3 Ir 2.68-2.74
7 Ir 0.1221 0.7301 0.3104  1 Si 2.46, 3 Ir 2.68-2.74
8 Ir 0.1168 0.2336 0.3140  1 Si 2.43, 2 Ir 2.69
9 Ir 0.6080 0.7301 0.3104  1 Si 2.46, 3 Ir 2.68-2.74

## Properties
Formation energy (no corrections) (eV/atom): -0.42
N(E_F) (states/eV/cell): 17.56

# 3
First-principles (PBE) data for crystalline NpSi2Ir5 at its relaxed geometry, as listed in Alexandria via LeMat-Bulk.

a b c (Å): 3.8681 6.1967 6.1967
angles (deg): 67.96 71.81 71.81
Closest atoms and distances in Å follow each position.
Sites, in units of the cell vectors:
1 Np 0.0000 0.0000 0.0000  4 Si 3.09, 8 Ir 3.14
2 Si 0.7527 0.7473 0.7473  7 Ir 2.31-2.58
3 Si 0.2473 0.2527 0.2527  7 Ir 2.31-2.58
4 Ir 0.0000 0.5000 0.5000  2 Si 2.36
5 Ir 0.6433 0.5584 0.1551  3 Si 2.31-2.58
6 Ir 0.3567 0.4416 0.8449  3 Si 2.31-2.58
7 Ir 0.3567 0.8449 0.4416  3 Si 2.31-2.58
8 Ir 0.6433 0.1551 0.5584  3 Si 2.31-2.58

## Properties
Formation energy (no corrections) (eV/atom): -0.54
N(E_F) (states/eV/cell): 11.09

# 4
First-principles (PBE) data for crystalline Np2Si4Ir5 at its relaxed geometry, as listed in Alexandria via LeMat-Bulk.

a b c (Å): 5.5835 5.5412 7.6437
angles (deg): 79.40 68.58 59.75
Closest atoms and distances in Å follow each position.
Sites, in units of the cell vectors:
1 Np 0.8792 0.0000 0.2416  6 Si 3.16-3.32, 10 Ir 3.26-3.33, 1 Np 3.44
2 Np 0.1208 0.0000 0.7584  6 Si 3.16-3.32, 10 Ir 3.26-3.33, 1 Np 3.44
3 Si 0.4786 0.3071 0.7357  5 Ir 2.37-2.52
4 Si 0.5214 0.6929 0.2643  5 Ir 2.37-2.52
5 Si 0.2143 0.3071 0.2643  5 Ir 2.37-2.52
6 Si 0.7857 0.6929 0.7357  5 Ir 2.37-2.52
7 Ir 0.5000 0.0000 0.0000  4 Si 2.39
8 Ir 0.0000 0.5000 0.0000  4 Si 2.52, 4 Ir 2.77-2.79
9 Ir 0.5000 0.5000 0.0000  4 Si 2.52, 4 Ir 2.77-2.79
10 Ir 0.2500 0.5000 0.5000  4 Si 2.37
11 Ir 0.7500 0.5000 0.5000  4 Si 2.37

## Properties
Formation energy (no corrections) (eV/atom): -0.58
N(E_F) (states/eV/cell): 23.78

# 5
>>>

Encoding ? Storage (or Consolidation) ? Retrieval

Encoding is simply breaking down any new concept or information into parts that will establish meaning.The brain will also establish a context around the new information or experience. Encoding is what gives the new information individual meaning; it will define the new information in terms of descriptive elements, such as the taste, sound, appearance, and feel. A sweater might by warm, bright, and colorful. It can also be encoded in the context of particular feelings or emotions, "I love this sweater because it was a gift from my husband and I look good in it."

Storage is the brain's act of "filing" the memory somewhere. We usually store memories with similar information, which is why it is sometimes referred to as consolidation. You may remember the new sweater as "just like the fuzzy sweater I had when I was a teenager." You are classifying it by consolidating it with an object that is similar but with some characteristics that are different. This helps us store memories in a less chaotic fashion and helps us with the final stage of memory retrieval.

Retrieval of a memory involves following the "clues" that trace the various encoded signs, and then decoding the information to get to the meaning. Sometimes we can't retrieve exactly what we are struggling to recall ("It's right on the tip of my tongue."), but we know we are very close, because we can retrieve other information that is very close – we can remember sweaters that are similar and we may even close our eyes and we can remember a particular color, but that one sweater – the one your husband gave you – is an elusive memory. But those memories consolidated with it may help you to get where you are going, so that you can get to the whole memory.

____________
[1]
FeC2S2N2: optimized geometry, PBE.

The structure in extended XYZ format:
```
7
Lattice="5.2598 -1.8422 0.0000 5.2598 1.8422 0.0000 -1.3944 0.0000 5.9597" Properties=species:S:1:pos:R:3 pbc="T T T"
N 0.2979 0.0000 4.9331
N 8.8273 0.0000 1.0266
C 1.4517 0.0000 4.6657
C 7.6735 0.0000 1.2940
Fe 0.0000 0.0000 0.0000
S 3.0478 0.0000 4.3279
S 6.0774 0.0000 1.6318
```

Results
The value obtained for the uncorrected energy is -0.2633 Ha/atom. For the volume, the calculation gives 115.5 Å³/cell.


[2]
NdSmI2O2: optimized geometry, PBE.

The structure in extended XYZ format:
```
6
Lattice="-3.5796 1.7702 -0.6632 0.6482 -0.1848 -3.9916 -4.0627 -8.3181 -0.2746" Properties=species:S:1:pos:R:3 pbc="T T T"
I -4.1819 -4.7687 -2.5110
I -1.3394 -2.7425 -0.0905
O -1.7976 0.8691 -0.3321
O 0.3163 -0.1084 -1.9963
Sm -1.9695 -0.2387 -2.3614
Nd -3.5503 -7.2691 -0.2399
```

Results
The value obtained for the uncorrected energy is -0.2361 Ha/atom. For the volume, the calculation gives 151.8 Å³/cell.


[3]
NpBeW: optimized geometry, PBE.

The structure in extended XYZ format:
```
3
Lattice="0.0000 2.9528 2.9528 2.9528 0.0000 2.9528 2.9528 2.9528 0.0000" Properties=species:S:1:pos:R:3 pbc="T T T"
W 4.4293 4.4293 4.4293
Np 1.4764 1.4764 1.4764
Be 0.0000 0.0000 0.0000
```

Results
As for the relative energy among the computed polymorphs: 0.0000 eV per atom. For the volume, the calculation gives 51.5 Å³/cell.


[4]
SmGd2TmTl2: optimized geometry, PBE.

The structure in extended XYZ format:
```
6
Lattice="-1.0900 -1.1066 5.1971 -3.3562 -1.7168 -3.9002 3.5112 -5.7537 -0.4887" Properties=species:S:1:pos:R:3 pbc="T T T"
Gd 2.6640 -4.3654 -0.3708
Gd 0.8472 -1.3883 -0.1179
Tl -0.0898 -4.1869 1.9203
Tl -2.6008 -1.5134 -0.8677
Tm -1.8454 -1.3100 2.1647
Sm -0.8452 -4.3903 -1.1121
```

Results
The value obtained for the uncorrected energy is -0.1518 Ha/atom. For the volume, the calculation gives 172.2 Å³/cell.


[5]
YCdPd2: optimized geometry, PBE.

The structure in extended XYZ format:
```
4
Lattice="0.0000 3.4016 3.4016 3.4016 0.0000 3.4016 3.4016 3.4016 0.0000" Properties=species:S:1:pos:R:3 pbc="T T T"
Cd 3.4016 3.4016 3.4016
Y 5.1024 5.1024 5.1024
Pd 0.0000 0.0000 0.0000
Pd 1.7008 1.7008 1.7008
```

Results
For the volume, the calculation gives 78.7 Å³/cell. The formation enthalpy at 0 K comes out at -0.52 eV/atom.


[6]
RbNbGa: optimized geometry, PBE.

The structure in extended XYZ format:
```
3
Lattice="2.3731 -0.0620 4.5463 -1.8410 2.7871 3.8920 -2.1963 -2.3281 4.0076" Properties=species:S:1:pos:R:3 pbc="T T T"
Rb -1.2481 0.2977 9.3344
Nb -0.4160 0.0992 3.1115
Ga 0.0000 0.0000 0.0000
```

Results
As for the relative energy among the computed polymorphs: 0.0000 eV per atom. For the volume, the calculation gives 95.4 Å³/cell.


[7]
SrLiGdS3: optimized geometry, PBE.

The structure in extended XYZ format:
```
12
Lattice="0.6345 0.1010 -6.7878 -4.3493 -0.1621 5.2483 -0.2253 10.3561 0.1331" Properties=species:S:1:pos:R:3 pbc="T T T"
Sr -3.2717 7.6708 2.3375
____________

We use the hippocampus, a sub-portion of the cortex of the brain, to consolidate new memories. Any new event creates brief links among neurons in the cortex of the brain. For instance, when you remember the sweater your husband gave you, the textural memory of how it feels, the emotional memory of why you love it, and the visual appeal memory will all converge in the hippocampus. Each time this happens, the path of neurons creating the memory is strengthened as it passes through the cortex and hippocampus. The more this happens, the more the memory is strengthened by reinforcement of those pathways. These memory paths become a stable part of long-term memory.

Attached: calculated crystals:
-- begin --
A relaxed CsPaAg crystal, computed with PBE.

It has space group F-43m (No. 216), with a = 7.147 Å, b = 7.147 Å, c = 7.147 Å, α = 90.00°, β = 90.00° and γ = 90.00°. The asymmetric unit holds Cs at (0.000, 0.000, 0.000), Pa at (0.250, 0.250, 0.250) and Ag at (0.250, 0.250, 0.750).

For the raw total energy, the calculation gives -2.697 eV per atom. The energy above the most stable polymorph in this dataset is 286.0 meV per atom.

A relaxed Sm2Zn crystal, computed with PBE.

It has space group Fd-3m (No. 227, origin choice 2), with a = 12.506 Å, b = 12.506 Å, c = 12.506 Å, α = 90.00°, β = 90.00° and γ = 90.00°. The asymmetric unit holds Sm at (0.000, 0.000, 0.000) and Zn at (0.125, 0.125, 0.125).

The formation enthalpy at 0 K comes out at 1417 meV/atom. For the raw total energy, the calculation gives -2.145 eV per atom.

A relaxed LiYSiPt crystal, computed with PBE.

It has space group F-43m (No. 216), with a = 6.413 Å, b = 6.413 Å, c = 6.413 Å, α = 90.00°, β = 90.00° and γ = 90.00°. The asymmetric unit holds Li at (0.000, 0.000, 0.000), Y at (0.250, 0.250, 0.750), Si at (0.000, 0.000, 0.500) and Pt at (0.250, 0.250, 0.250).

For the raw total energy, the calculation gives -5.676 eV per atom. The energy above the most stable polymorph in this dataset is 95.0 meV per atom.

A relaxed HfFeCoPb crystal, computed with PBE.

It has space group F-43m (No. 216), with a = 6.307 Å, b = 6.307 Å, c = 6.307 Å, α = 90.00°, β = 90.00° and γ = 90.00°. The asymmetric unit holds Hf at (0.000, 0.000, 0.000), Fe at (0.250, 0.250, 0.250), Co at (0.250, 0.250, 0.750) and Pb at (0.000, 0.000, 0.500).

For the raw total energy, the calculation gives -7.239 eV per atom. The energy above the most stable polymorph in this dataset is 0.0 meV per atom.

A relaxed TbHgSO crystal, computed with PBE.

It has space group P2_1/c (No. 14), with a = 6.977 Å, b = 7.289 Å, c = 6.639 Å, α = 90.00°, β = 92.98° and γ = 90.00°. The asymmetric unit holds Tb at (0.023, 0.138, 0.292), Hg at (0.483, 0.685, 0.994), S at (0.253, 0.070, 0.948) and O at (0.101, 0.645, 0.910).

For the raw total energy, the calculation gives -5.234 eV per atom. The energy above the most stable polymorph in this dataset is 112.3 meV per atom.

A relaxed LaDyCuSi3 crystal, computed with PBE.

It has space group Fmmm (No. 69), with a = 8.094 Å, b = 8.477 Å, c = 13.965 Å, α = 90.00°, β = 90.00° and γ = 90.00°. The asymmetric unit holds La at (0.000, 0.244, 0.000), Dy at (0.250, 0.250, 0.250), Cu at (0.000, 0.000, 0.332), Si at (0.000, 0.000, 0.171) and Si at (0.246, 0.000, 0.414).

For the raw total energy, the calculation gives -5.657 eV per atom. The energy above the most stable polymorph in this dataset is 0.0 meV per atom.

A relaxed Ir3Pd3W2 crystal, computed with PBE.
-- stop --

Why Don't We Remember Everything?

It would be nice to remember everything, but it would give us a terrible overload, taking over so much of our brain that it couldn't take care of the many other functions it has to take care of -- from involuntary actions, such as breathing and blinking, to conscious thought, such as conversation and processing new ideas. Simply put, we can only retain so much, and our brain is selective, so that we remember only what it thinks we need.

Many factors affect how much and how well we can recall things, including how much we are paying attention when we encounter the material. When we say information "went in one ear and out the other," (a common affliction of teenagers), we usually mean that the person appeared to be paying attention, but later remembered nothing they were told. This is because the person listening wasn't really paying attention to what we were saying at all (another common affliction of teenagers).

These same teenagers can remember the lyrics to hundreds of popular rock songs, the names of band members, and concert dates for the coming two years. Why? Because this is the information that is important to them. They are motivated to remember it and store it in their long-term memory for reference whenever they need it. The list of chores you gave them, however, isn't memorable, because they just don't find it interesting or important.

Emotions and Memory

Our emotional state has a distinct effect on memory. The greater the emotion or intensity of a particular event, the more likely it is that you will remember the information and events surrounding it. Whether your heightened mood is good or bad, whether you are happy or sad, joyful, angry, frightened, or grieving, doesn't matter nearly as much as the intensity or depth of that particular feeling. This is why so many people can recall years later where they were, what they were wearing, and how everything looked on their wedding day, when their child was born, or at the funeral of someone they loved.

Did You Ever Really Learn It?

There are levels to what you've learned in working memory. Recent studies done at Penn State University Erie revealed that some individuals can't retrieve information from their memories, because it was only stored in working memory (another term for short-term memory), and never actually converted to long-term memory. In effect, the information was never actually converted from new, learned information, to a permanent memory that could later be retrieved.

In the study, participants fell into two types of groups. One group learned the new information for a brief time and then forgot it – the information was gone for good. The other group was able to encode the information and put it into storage for future retrieval.

Another discovery was that the brain has an override system that effectively "trashes" information that it deems outdated. While study participants were learning information, if new details were revealed, the brain seemed to filter through the details and retain only what it deemed most vital. It would encode and store the most important bits of information and "toss aside" the rest, because it recognized certain information as no longer necessary or relevant.

Healthy Habits and Memory

We can improve our memory by learning a variety of memory-enhancing skills, but nothing will improve our memory, if we don't take care of our bodies and our minds. All of the skill in the world doesn't help, if the basic building blocks – a healthy body and a fit mind – aren't there.

For years, scientists have been studying the way the brain works and how memory is affected by everything from sleep, to our eating habits -- and they have come up with some startling results. How we take care of ourselves does affect how well we can remember things. Keep in mind, however, that there are many supplements unscrupulous companies advertise as "miracle cures" that don't deliver the results promised.

Promises vs. Results

The problem with determining whether a particular supplement, vitamin, herb, or food can improve memory is that it's difficult to test the desired result. The long-term results take years, or even decades, to determine and the results are extremely subjective. Who knows how much a particular person would have remembered without taking a particular supplement? We can make comparisons between large groups of people, but this is only a generalization, and there are lots of variables to take into consideration. This is why you will often find contradictory information on whether a particular supplement has any effect on memory. What we do know is there is more evidence in regard to some supplements than others.

The suggestions we make in this chapter are based on specific criteria:
    • The evidence is accepted by the majority of medical doctors and healthcare practitioners.
    • There are generally no major side effects that are a cause for concern.
    • There have been numerous clinical trials.
    • The suggestions are practical and easy to implement in your daily life.

Of course, you should always talk to your doctor before adding anything to your healthcare routine.

First, Let's Get Healthier

The first thing you should do is start taking better care of yourself. This sounds like a simple suggestion, but the truth is that over half of Americans don't get enough sleep, and lack of sleep interferes with the brain's ability to encode memories. The same is true about eating healthy and staying fit – most Americans don't exercise enough, and 62 percent are overweight. Unfortunately, there is a strong correlation between poor health and poor memory.

The typical adult should be getting between seven and nine hours of sleep a night for his or her brain to be operating at optimal efficiency. There are exceptions – some people can function fine on four or five hours sleep each night, while others need 10 hours every night. Only you can determine how much you need. If you go to bed at around the same time each night and can wake up around the same time each morning without an alarm clock going off, you are getting enough sleep, otherwise…Well, you need to think about getting more rest.

Maintaining proper body weight and exercising regularly also improve memory function. It seems there's no way around it – you have to be active and eat right. In fact, there are specific foods such as certain fishes that are considered "brain foods" that we will be talking about later in this chapter. Exercise improves brain function by increasing blood flow to the brain. With more blood flow, you'll be able to concentrate better, which means you'll be able to remember more. It's the way your body is designed – there's a unique balance between the body and mind that's truly dynamic.


You get most of vitamins and minerals you need from the foods you eat or from (hopefully) a multi-vitamin and mineral supplement you take each day. Some vitamins have a particularly beneficial effect on memory and intelligence and can, if taken regularly, improve thinking and memory:

Vitamin B6 – This vitamin is essential to the production of neurotransmitters in the brain, which are central to the process of encoding and storage of memories. Foods that contain B6 include cereal grains, pasta, tuna, bananas, spinach, and peppers.

Vitamin B12 – A vitamin central to the production of acetylcholine, an essential neurotransmitter used in the formation of memories. Foods that are rich in B12 include any meats, eggs, dairy products, and fish. Many soy products, such as soy milk and tofu, are also fortified with the vitamin.

Folic Acid – This is sometimes called folate, and it also aids in the production of a specific neurotransmitters. It also aids in sharpening thought processes and concentration. It's found in whole grain foods, broccoli, dark green, leafy vegetables, nuts and seeds, and sprouts.

Vitamin E – Vitamin E is a powerful antioxidant that has been proven to stave off the decline of memory loss in the elderly. In fact, the effect of Vitamin E on memory may have the greatest clinical backing of any of the vitamins. Clinical research has shown consistently that taking between 200 and 250 milligrams of Vitamin E daily decreases memory loss by up to 30 percent in some cases. There have also been case studies that suggest Vitamin E regimens may delay the onset and progression of Alzheimer's disease in some patients. The best sources of Vitamin E include green vegetables, vegetable oils, and eggs.

DHA – DHA is a class of Omega-3 fatty acid that is essential to brain function. These fatty acids protect brain cells and improve both memory and cognitive skills. The greatest source of DHA is cold water fish, such as mackerel, herring, salmon, or fish oil. Unfortunately, to get sufficient DHA in their diet, typical Americans would need to quadruple their intake of fish. However, fish oil capsules can easily be taken daily to supplement the diet and get the same beneficial effects. Another good source of DHA is olive oil.

Lecithin – Lecithin can be taken as a supplement or added to your food as a granulated additive. It's a lipid (a fat found in living cells) that is key to the function of neurons and red blood cells. One unique characteristic of lecithin is that the results of taking it are almost immediate; when you take lecithin, it almost immediately passed the blood/brain barrier and enters your brain, where it immediately begins having an effect on how your brain functions. If you start taking lecithin this week, you should begin to see an improvement in cognitive function and memory within days.

Ginkgo Biloba – This is one of the most widely touted herbal supplements for improving memory. Unlike the other supplements mentioned here, your body doesn't need ginkgo biloba at all. It isn't something that, like omega-3 fatty acids or vitamins, your body needs in even trace amounts. But in China, people have been using the leaves of this tree for thousands of years to improve memory, and western medical studies have proven its effectiveness.

There are actually several reasons to take ginkgo biloba. The human body benefits a great deal from this herbal supplement:

  • It increases blood flow to the brain and other organs.
  • It helps regulate neurotransmitters.
  • It enhances memory retention and cognitive function.
  • It is a powerful antioxidant.

As always, be sure to talk to your physician before adding any supplement, including ginkgo biloba, to your healthcare routine.

Too Much of a Good Thing?

Always talk to your doctor before taking any type of supplement. It's also important to be aware of the potential for side effects and overdosing. In some cases, such as with a vitamin, you may be fine when you take more than the recommended daily allowance; in others you may find that you become sick to your stomach -- or worse -- if you go far beyond the recommended dosage. Too much of anything is not a good idea. Follow the dosage guidelines carefully and consult your doctor to make sure nothing you take will interact adversely with any medications you are currently taking.